### Material
┌──
Entry 1:
The following is a DFT calculation (PBE with a Hubbard U) of a relaxed MgCr2Cl4O4 crystal.

Lattice parameters (Å, degrees): 6.076 6.500 7.127 77.63 87.99 88.62
Space group P1 (No. 1)
One atom of each set of equivalent atoms:
Mg 0.000 0.000 0.000 [1 per cell]
Cr 0.099 0.525 0.873 [1 per cell]
Cr 0.571 0.834 0.302 [1 per cell]
Cl 0.409 0.969 0.021 [1 per cell]
Cl 0.477 0.061 0.475 [1 per cell]
Cl 0.958 0.297 0.712 [1 per cell]
Cl 0.997 0.326 0.155 [1 per cell]
O 0.360 0.513 0.857 [1 per cell]
O 0.468 0.609 0.391 [1 per cell]
O 0.837 0.850 0.233 [1 per cell]
O 0.980 0.761 0.862 [1 per cell]

Computed properties:
* energy above the lowest structure with this stoichiometry: 0 meV/atom
* crystal system: triclinic
* MP2020-corrected energy: -63.311 eV per formula unit
* E_tot: -0.1890 Ha/atom
* DFT formation energy: -1383.5 meV/atom
* size of the total moment: 0.182 μB/atom

***

Entry 2:
The following is a DFT calculation (PBE with a Hubbard U) of a relaxed Mn3O2F4 crystal.

Lattice parameters (Å, degrees): 4.821 5.790 7.966 86.41 89.67 88.71
Space group P-1 (No. 2)
One atom of each set of equivalent atoms:
Mn 0.000 0.000 0.000 [1 per cell]
Mn 0.005 0.335 0.650 [2 per cell]
Mn 0.459 0.177 0.324 [2 per cell]
Mn 0.500 0.500 0.000 [1 per cell]
O 0.184 0.374 0.429 [2 per cell]
O 0.316 0.222 0.096 [2 per cell]
F 0.197 0.709 0.125 [2 per cell]
F 0.203 0.036 0.751 [2 per cell]
F 0.296 0.527 0.783 [2 per cell]
F 0.323 0.861 0.450 [2 per cell]

Computed properties:
* energy above the lowest structure with this stoichiometry: 23 meV/atom
* crystal system: triclinic
* MP2020-corrected energy: -67.708 eV per formula unit
* E_tot: -0.2429 Ha/atom
* DFT formation energy: -2518.6 meV/atom
* size of the total moment: 1.445 μB/atom
└──

### Exercise
Your job: say how many lines of the entries above hold the word "this", as a bare number.

### Reply
2